To do
Please return all of the notes underneath with every line break kept.

Entries
____________
Record 1
The following is a PBE-GGA calculation of a relaxed Rb3UPa2As6 crystal, from Alexandria via LeMat-Bulk. Values from VASP.

Geometry as Quantum ESPRESSO input:
```
&SYSTEM
  ibrav = 0, nat = 12, ntyp = 4
/
ATOMIC_SPECIES
U 238.03 U.upf
As 74.92 As.upf
Pa 231.04 Pa.upf
Rb 85.47 Rb.upf
ATOMIC_POSITIONS angstrom
U 0.0000 0.0000 0.0000
As 2.4699 -0.0005 1.4115
As 2.4921 4.3150 1.4119
As 3.7193 2.1628 6.5402
Pa 0.0007 4.3029 0.0003
Rb 4.9661 0.0003 3.9759
Rb -2.4816 4.3016 3.9759
As -1.2348 2.1391 1.4115
As -0.0076 -0.0132 6.5398
Pa 3.7266 2.1510 0.0003
Rb 1.2422 2.1509 3.9759
As 0.0146 4.3024 6.5402
CELL_PARAMETERS angstrom
7.4529 -0.0010 0.0003
-3.7255 6.4549 0.0003
-1.2429 -2.1520 7.9511
```

**Formation energy from the elements**: -720 meV/atom
**Space-group type**: C2/m
**DOS at the Fermi energy**: 0.1152 states/eV per atom

=====

Record 2
The following is a PBE-GGA calculation of a relaxed Pa2ReAs crystal, from Alexandria via LeMat-Bulk. Values from VASP.

Geometry as Quantum ESPRESSO input:
```
&SYSTEM
  ibrav = 0, nat = 4, ntyp = 3
/
ATOMIC_SPECIES
Re 186.21 Re.upf
As 74.92 As.upf
Pa 231.04 Pa.upf
ATOMIC_POSITIONS angstrom
Re 0.0000 0.0000 0.0000
As 4.0002 2.3095 3.4528
Pa 6.0004 3.4643 5.3512
Pa 2.0001 1.1548 1.5544
CELL_PARAMETERS angstrom
4.0002 0.0000 0.0000
2.0001 3.4643 0.0000
2.0001 1.1548 6.9056
```

**Formation energy from the elements**: -424 meV/atom
**Polymorph energy (0 for the lowest one)**: 0.000 eV per formula unit
**Space-group type**: R-3m
**DOS at the Fermi energy**: 0.9492 states/eV per atom

=====

Record 3
The following is a PBE-GGA calculation of a relaxed PaReAs crystal, from Alexandria via LeMat-Bulk. Values from VASP.

Geometry as Quantum ESPRESSO input:
```
&SYSTEM
  ibrav = 0, nat = 6, ntyp = 3
/
ATOMIC_SPECIES
As 74.92 As.upf
Pa 231.04 Pa.upf
Re 186.21 Re.upf
ATOMIC_POSITIONS angstrom
As 0.4796 0.2124 -1.1698
Pa 1.7945 -5.1954 1.3798
Re -0.1571 -2.2086 -2.0503
Re 0.7249 -6.1551 3.7295
Pa -1.2267 -3.1684 0.2994
As 0.0883 -8.5761 2.8490
CELL_PARAMETERS angstrom
-1.2953 0.0465 -3.7013
3.6479 0.9141 -1.0824
-1.7848 -9.3243 6.4629
```

**Formation energy from the elements**: 9 meV/atom
**Polymorph energy (0 for the lowest one)**: 0.674 eV per formula unit
**Space-group type**: P-1
**DOS at the Fermi energy**: 0.7771 states/eV per atom

=====

Record 4
The following is a PBE-GGA calculation of a relaxed Pa2ReAs crystal, from Alexandria via LeMat-Bulk. Values from VASP.

Geometry as Quantum ESPRESSO input:
```
&SYSTEM
  ibrav = 0, nat = 4, ntyp = 3
/
ATOMIC_SPECIES
As 74.92 As.upf
Re 186.21 Re.upf
Pa 231.04 Pa.upf
ATOMIC_POSITIONS angstrom
As -1.8094 4.0185 0.5584
Re -1.7524 0.7951 -1.3763
Pa -0.0276 1.5632 0.9383
Pa -0.0862 4.8835 2.9312
CELL_PARAMETERS angstrom
-0.1634 1.7178 -2.8666
-3.3415 -0.1275 0.1141
-0.1138 6.4467 3.8695
```

**Formation energy from the elements**: -367 meV/atom
**Polymorph energy (0 for the lowest one)**: 0.229 eV per formula unit
**Space-group type**: P4/mmm
**DOS at the Fermi energy**: 1.3792 states/eV per atom

=====

Record 5
The following is a PBE-GGA calculation of a relaxed Pa3Re5As12 crystal, from Alexandria via LeMat-Bulk. Values from VASP.

Geometry as Quantum ESPRESSO input:
```
&SYSTEM
  ibrav = 0, nat = 80, ntyp = 3
/
ATOMIC_SPECIES
As 74.92 As.upf
Re 186.21 Re.upf
Pa 231.04 Pa.upf
ATOMIC_POSITIONS angstrom
As -9.6200 -6.2341 1.2272
Re -1.2545 5.4824 3.5818
Re -3.7737 2.5065 9.3231
As -5.5759 -2.0799 1.3273
As -2.1453 3.3195 10.8146
Re -1.7968 -1.1730 11.5100
Pa -1.5034 -8.3183 5.9992
As -7.9781 2.6954 -1.5923
As -6.1554 3.5326 4.9463
Re -1.0501 -3.9842 7.7992
As -8.0846 7.3898 3.5976
As -4.2606 -0.5483 -1.8431
As -3.0688 -9.1682 3.4931
As -7.8427 -5.9333 4.0982
Pa -6.9264 0.0492 -0.4325
Re -6.3538 4.3133 -0.5523
As -10.8120 3.8809 0.7844
As -1.3082 -4.3959 2.9405
Re 0.0000 0.0000 0.0000
As -9.4057 -0.2329 6.1450
As -6.8929 -1.2301 8.9337
Re -5.5767 -0.8892 3.5453
As -8.2241 -2.5167 -0.9296
Re -5.0992 -1.1691 -4.1341
Re -3.2963 2.2266 1.6437
____________

Reply
Record 1
The following is a PBE-GGA calculation of a relaxed Rb3UPa2As6 crystal, from Alexandria via LeMat-Bulk. Values from VASP.

Geometry as Quantum ESPRESSO input:
```
&SYSTEM
  ibrav = 0, nat = 12, ntyp = 4
/
ATOMIC_SPECIES
U 238.03 U.upf
As 74.92 As.upf
Pa 231.04 Pa.upf
Rb 85.47 Rb.upf
ATOMIC_POSITIONS angstrom
U 0.0000 0.0000 0.0000
As 2.4699 -0.0005 1.4115
As 2.4921 4.3150 1.4119
As 3.7193 2.1628 6.5402
Pa 0.0007 4.3029 0.0003
Rb 4.9661 0.0003 3.9759
Rb -2.4816 4.3016 3.9759
As -1.2348 2.1391 1.4115
As -0.0076 -0.0132 6.5398
Pa 3.7266 2.1510 0.0003
Rb 1.2422 2.1509 3.9759
As 0.0146 4.3024 6.5402
CELL_PARAMETERS angstrom
7.4529 -0.0010 0.0003
-3.7255 6.4549 0.0003
-1.2429 -2.1520 7.9511
```

**Formation energy from the elements**: -720 meV/atom
**Space-group type**: C2/m
**DOS at the Fermi energy**: 0.1152 states/eV per atom

=====

Record 2
The following is a PBE-GGA calculation of a relaxed Pa2ReAs crystal, from Alexandria via LeMat-Bulk. Values from VASP.

Geometry as Quantum ESPRESSO input:
```
&SYSTEM
  ibrav = 0, nat = 4, ntyp = 3
/
ATOMIC_SPECIES
Re 186.21 Re.upf
As 74.92 As.upf
Pa 231.04 Pa.upf
ATOMIC_POSITIONS angstrom
Re 0.0000 0.0000 0.0000
As 4.0002 2.3095 3.4528
Pa 6.0004 3.4643 5.3512
Pa 2.0001 1.1548 1.5544
CELL_PARAMETERS angstrom
4.0002 0.0000 0.0000
2.0001 3.4643 0.0000
2.0001 1.1548 6.9056
```

**Formation energy from the elements**: -424 meV/atom
**Polymorph energy (0 for the lowest one)**: 0.000 eV per formula unit
**Space-group type**: R-3m
**DOS at the Fermi energy**: 0.9492 states/eV per atom

=====

Record 3
The following is a PBE-GGA calculation of a relaxed PaReAs crystal, from Alexandria via LeMat-Bulk. Values from VASP.

Geometry as Quantum ESPRESSO input:
```
&SYSTEM
  ibrav = 0, nat = 6, ntyp = 3
/
ATOMIC_SPECIES
As 74.92 As.upf
Pa 231.04 Pa.upf
Re 186.21 Re.upf
ATOMIC_POSITIONS angstrom
As 0.4796 0.2124 -1.1698
Pa 1.7945 -5.1954 1.3798
Re -0.1571 -2.2086 -2.0503
Re 0.7249 -6.1551 3.7295
Pa -1.2267 -3.1684 0.2994
As 0.0883 -8.5761 2.8490
CELL_PARAMETERS angstrom
-1.2953 0.0465 -3.7013
3.6479 0.9141 -1.0824
-1.7848 -9.3243 6.4629
```

**Formation energy from the elements**: 9 meV/atom
**Polymorph energy (0 for the lowest one)**: 0.674 eV per formula unit
**Space-group type**: P-1
**DOS at the Fermi energy**: 0.7771 states/eV per atom

=====

Record 4
The following is a PBE-GGA calculation of a relaxed Pa2ReAs crystal, from Alexandria via LeMat-Bulk. Values from VASP.

Geometry as Quantum ESPRESSO input:
```
&SYSTEM
  ibrav = 0, nat = 4, ntyp = 3
/
ATOMIC_SPECIES
As 74.92 As.upf
Re 186.21 Re.upf
Pa 231.04 Pa.upf
ATOMIC_POSITIONS angstrom
As -1.8094 4.0185 0.5584
Re -1.7524 0.7951 -1.3763
Pa -0.0276 1.5632 0.9383
Pa -0.0862 4.8835 2.9312
CELL_PARAMETERS angstrom
-0.1634 1.7178 -2.8666
-3.3415 -0.1275 0.1141
-0.1138 6.4467 3.8695
```

**Formation energy from the elements**: -367 meV/atom
**Polymorph energy (0 for the lowest one)**: 0.229 eV per formula unit
**Space-group type**: P4/mmm
**DOS at the Fermi energy**: 1.3792 states/eV per atom

=====

Record 5
The following is a PBE-GGA calculation of a relaxed Pa3Re5As12 crystal, from Alexandria via LeMat-Bulk. Values from VASP.

Geometry as Quantum ESPRESSO input:
```
&SYSTEM
  ibrav = 0, nat = 80, ntyp = 3
/
ATOMIC_SPECIES
As 74.92 As.upf
Re 186.21 Re.upf
Pa 231.04 Pa.upf
ATOMIC_POSITIONS angstrom
As -9.6200 -6.2341 1.2272
Re -1.2545 5.4824 3.5818
Re -3.7737 2.5065 9.3231
As -5.5759 -2.0799 1.3273
As -2.1453 3.3195 10.8146
Re -1.7968 -1.1730 11.5100
Pa -1.5034 -8.3183 5.9992
As -7.9781 2.6954 -1.5923
As -6.1554 3.5326 4.9463
Re -1.0501 -3.9842 7.7992
As -8.0846 7.3898 3.5976
As -4.2606 -0.5483 -1.8431
As -3.0688 -9.1682 3.4931
As -7.8427 -5.9333 4.0982
Pa -6.9264 0.0492 -0.4325
Re -6.3538 4.3133 -0.5523
As -10.8120 3.8809 0.7844
As -1.3082 -4.3959 2.9405
Re 0.0000 0.0000 0.0000
As -9.4057 -0.2329 6.1450
As -6.8929 -1.2301 8.9337
Re -5.5767 -0.8892 3.5453
As -8.2241 -2.5167 -0.9296
Re -5.0992 -1.1691 -4.1341
Re -3.2963 2.2266 1.6437